(Brief)
Filter the calculation results below: keep the lines with the word "OMol25".

(Given)
/*
Record 1
Formula: CH2N2O3
Source: the Open Molecules 2025 dataset
Level of theory: ωB97M-V with the def2-TZVPD basis set

**Orbital gap**: 11.66 eV
**M**: 90.04 g/mol
**Max |F|**: 3.36 eV Å⁻¹
**SMILES**: O=[N+]([O-])N1CO1

Geometry as XYZ:
```
8
CH2N2O3 ωB97M-V with the def2-TZVPD basis set
O -1.594 2.726 -0.191
N -1.281 2.045 0.731
O -1.946 1.784 1.674
N -0.040 1.420 0.733
C 0.217 0.263 -0.013
O 0.713 1.342 -0.675
H 0.820 -0.491 0.421
H -0.544 -0.431 -0.429
```

Record 2
Formula: CH19MnO9
Source: the Open Molecules 2025 dataset
Level of theory: ωB97M-V with the def2-TZVPD basis set

**Charge**: +1
**Orbital gap (alpha / beta)**: 7.07 / 7.05 eV
**M**: 230.09 g/mol
**Max |F|**: 3.49 eV Å⁻¹
**Spin multiplicity**: 6

Geometry as XYZ:
```
30
CH19MnO9 ωB97M-V with the def2-TZVPD basis set
Mn 2.828 -0.309 0.565
C -0.155 -0.110 -0.381
O 0.732 0.089 0.675
H 0.290 -0.188 -1.384
H -0.955 -0.793 -0.119
H -0.676 0.827 -0.653
O -2.916 2.565 1.139
H -3.371 3.117 0.494
H -1.986 2.652 0.918
O -2.051 2.690 -2.452
H -1.458 2.035 -2.071
H -2.532 2.212 -3.136
O 0.230 3.218 0.863
H 1.175 3.383 0.817
H 0.135 2.282 0.646
O 2.524 -1.775 2.016
H 2.977 -1.823 2.872
H 1.742 -2.346 2.111
O 0.341 0.258 3.602
H -0.330 0.931 3.764
H 0.415 0.211 2.638
O 2.422 -1.772 -0.845
H 3.184 -2.323 -1.086
H 1.658 -2.368 -0.905
O -1.061 -3.052 0.964
H -1.216 -2.141 0.697
H -1.936 -3.393 1.182
O 0.338 -1.194 -4.199
H -0.213 -0.961 -4.955
H -0.133 -1.921 -3.777
```

Record 3
Formula: C7H16BrGaO6P
Source: the Open Molecules 2025 dataset
Level of theory: ωB97M-V with the def2-TZVPD basis set

**Charge**: -1
**Orbital gap**: 6.85 eV
**M**: 376.80 g/mol
**Max |F|**: 0.31 eV Å⁻¹

Geometry as XYZ:
```
32
C7H16BrGaO6P ωB97M-V with the def2-TZVPD basis set
C 1.608 -1.611 -2.894
C 0.924 -0.278 -2.724
O 1.325 0.592 -1.977
O -0.157 -0.195 -3.472
C -1.060 0.934 -3.254
Ga -2.394 0.557 -1.774
P -3.888 -1.207 -2.455
O -2.867 -2.550 -2.419
Br -3.921 -0.921 -4.712
H 1.248 -2.274 -2.105
H 1.364 -2.060 -3.854
H 2.684 -1.486 -2.788
H -1.585 1.033 -4.204
H -0.463 1.832 -3.090
H -3.300 1.841 -1.475
H -1.679 -0.003 -0.456
H -3.271 -3.194 -1.834
C 2.487 1.060 1.186
C 1.008 0.755 1.218
O 0.680 -0.119 2.331
C 0.551 0.463 3.505
O 0.663 1.637 3.763
O 0.257 -0.483 4.416
C 0.068 0.018 5.737
H 3.064 0.135 1.153
H 2.704 1.629 0.282
H 2.792 1.639 2.059
H 0.696 0.212 0.333
H 0.406 1.658 1.293
H -0.678 0.811 5.748
H 1.004 0.406 6.139
H -0.271 -0.831 6.325
```

----------

P | Entry from OMol25: a single C4H9NOS molecule (wB97M-V/def2-TZVPD).

Last column: Löwdin charge in e.
Element x y z (Å)
1 S -1.55097 1.19705 1.37783  0.7230
2 O -0.33290 -2.13158 -1.58366  0.0162
3 N 1.34751 -0.83443 -0.67516  0.0448
4 C 1.49256 1.31352 0.47362  -0.0748
5 C 0.68460 0.01571 0.34386  -0.4160
6 C 0.80732 -1.73266 -1.53664  -0.3676
7 C -0.76227 0.31202 -0.01401  -0.5122
8 H 0.87299 2.17645 0.31788  0.0513
9 H -1.29016 -0.61699 -0.15769  0.0520
10 H 2.35074 -0.77419 -0.75060  0.1228
11 H 2.28269 1.35237 -0.27230  0.0710
12 H 1.56236 -2.09851 -2.25499  0.1282
13 H 0.75569 -0.56202 1.26729  0.1358
14 H -2.18940 2.11728 0.64806  -0.1479
15 H 2.01349 1.49035 1.42152  0.0828
16 H -0.84710 0.92661 -0.90519  0.0905

**SMILES**: C[C@@H](CS)NC=O
**Highest occupied orbital energy**: -0.3358 hartree
**Orbital gap**: 9.93 eV
**Total charge**: 0



Q | Entry from OMol25: 2 unconnected molecules or ions with the total composition C4H9NOS (wB97M-V/def2-TZVPD).

Last column: Löwdin charge in e.
Element x y z (Å)
1 S 0.65637 -0.70401 -0.12609  0.8011
2 O 1.91587 -1.37664 -0.32354  -0.4712
3 N -0.19505 -0.51072 -1.53556  -0.2371
4 C 0.01387 2.90419 0.92889  -0.0987
5 C 0.16617 -1.04866 -2.58340  -0.0937
6 C -0.06359 1.93392 1.78778  -0.1271
7 C -0.58711 -1.81922 0.47657  -0.2548
8 H 1.04747 -1.57984 -2.63011  0.0405
9 H 0.11751 2.18852 2.86100  0.0651
10 H -0.32281 -2.07121 1.53350  0.0710
11 H -1.55687 -1.44259 0.44818  0.0250
12 H 0.00350 2.68001 -0.16154  0.0616
13 H -0.37106 0.89794 1.52725  0.0021
14 H 0.35849 3.84883 1.34619  0.0493
*/

(Outcome)
P | Entry from OMol25: a single C4H9NOS molecule (wB97M-V/def2-TZVPD).
Q | Entry from OMol25: 2 unconnected molecules or ions with the total composition C4H9NOS (wB97M-V/def2-TZVPD).